## Material
Record 1
First-principles (PBE) data for a geometry-optimized CsMgPb structure, as listed in Alexandria via LeMat-Bulk.

a = 4.1704 Å, b = 4.1704 Å, c = 7.6941 Å
α = 105.72°, β = 105.72°, γ = 90.00°
With the nearest neighbours (Å) after each atom.
Element x y z (fractional)
Cs  0.0050  0.0050  0.0099  1 Mg 3.86, 5 Pb 4.07-4.23, 4 Cs 4.17
Mg  0.2762  0.2762  0.5524  4 Pb 3.06
Pb  0.7188  0.7188  0.4377  4 Mg 3.06

Calculated values
- excess energy over the best structure of this formula in the dataset (kJ/mol of atoms) = 14.2
- formation energy from the elements (kJ/mol of formula units) = 4
- crystal system = tetragonal

***

Record 2
First-principles (PBE) data for a geometry-optimized Pr4Y4Ho5 structure, as listed in Alexandria via LeMat-Bulk.

a = 5.0751 Å, b = 9.5322 Å, c = 9.5322 Å
α = 85.94°, β = 74.56°, γ = 74.56°
With the nearest neighbours (Å) after each atom.
Element x y z (fractional)
Y  0.8474  0.9242  0.3809  4 Pr 3.57-3.61, 6 Ho 3.57-3.66, 2 Y 3.63
Y  0.1526  0.0758  0.6191  4 Pr 3.57-3.61, 6 Ho 3.57-3.66, 2 Y 3.63
Y  0.7716  0.3809  0.0758  4 Pr 3.57-3.61, 6 Ho 3.57-3.66, 2 Y 3.63
Y  0.2284  0.6191  0.9242  4 Pr 3.57-3.61, 6 Ho 3.57-3.66, 2 Y 3.63
Ho  0.0000  0.0000  0.0000  8 Ho 3.56, 4 Y 3.57
Ho  0.3115  0.1497  0.2273  4 Ho 3.54-3.56, 5 Y 3.57-3.66, 3 Pr 3.61-3.65
Ho  0.5388  0.7727  0.1497  4 Ho 3.54-3.56, 5 Y 3.57-3.66, 3 Pr 3.61-3.65
Ho  0.4612  0.2273  0.8503  4 Ho 3.54-3.56, 5 Y 3.57-3.66, 3 Pr 3.61-3.65
Ho  0.6885  0.8503  0.7727  4 Ho 3.54-3.56, 5 Y 3.57-3.66, 3 Pr 3.61-3.65
Pr  0.9215  0.4609  0.6961  4 Y 3.57-3.61, 3 Ho 3.61-3.65, 5 Pr 3.63-3.67
Pr  0.3824  0.6961  0.5391  4 Y 3.57-3.61, 3 Ho 3.61-3.65, 5 Pr 3.63-3.67
Pr  0.6176  0.3039  0.4609  4 Y 3.57-3.61, 3 Ho 3.61-3.65, 5 Pr 3.63-3.67
Pr  0.0785  0.5391  0.3039  4 Y 3.57-3.61, 3 Ho 3.61-3.65, 5 Pr 3.63-3.67

Calculated values
- formation energy from the elements (kJ/mol of formula units) = 28
- crystal system = tetragonal

***

Record 3
First-principles (PBE) data for a geometry-optimized NiIrSe2 structure, as listed in Alexandria via LeMat-Bulk.

a = 3.0084 Å, b = 3.0084 Å, c = 8.2796 Å
α = 90.00°, β = 90.00°, γ = 121.27°
With the nearest neighbours (Å) after each atom.
Element x y z (fractional)
Se  0.0000  0.0000  0.9872  2 Ni 2.46, 2 Ir 2.63
Se  0.0000  0.0000  0.5128  2 Ni 2.46, 2 Ir 2.63
Ni  0.5000  0.5000  0.7500  4 Se 2.46
Ir  0.5000  0.5000  0.2500  4 Se 2.63

Calculated values
- ΔE_f (raw) (eV per atom) = 0.519
- crystal system = orthorhombic

***

Record 4
First-principles (PBE) data for a geometry-optimized Cs8BiS2 structure, as listed in Alexandria via LeMat-Bulk.

a = 6.9450 Å, b = 9.6867 Å, c = 9.6867 Å
α = 110.84°, β = 96.59°, γ = 96.59°
With the nearest neighbours (Å) after each atom.
Element x y z (fractional)
Cs  0.9302  0.9518  0.6796  2 S 3.50-3.68
Cs  0.0698  0.3204  0.0482  2 S 3.50-3.68
Cs  0.9302  0.6796  0.9518  2 S 3.50-3.68
Cs  0.5000  0.2486  0.7514  2 S 3.64, 1 Bi 3.96
Cs  0.2730  0.6250  0.6250  2 S 3.60
Cs  0.5000  0.7514  0.2486  2 S 3.64, 1 Bi 3.96
Cs  0.0698  0.0482  0.3204  2 S 3.50-3.68
Cs  0.7270  0.3750  0.3750  2 S 3.60
S  0.0000  0.3169  0.6831  8 Cs 3.50-3.68
S  0.0000  0.6831  0.3169  8 Cs 3.50-3.68
Bi  0.5000  0.0000  0.0000  4 Cs 3.96-4.11

Calculated values
- ΔE_f (raw) (eV per atom) = -0.604
- crystal system = monoclinic

***

Record 5
First-principles (PBE) data for a geometry-optimized Th2MnNi3Ge4 structure, as listed in Alexandria via LeMat-Bulk.

a = 4.1858 Å, b = 4.1858 Å, c = 9.8603 Å
α = 90.00°, β = 90.00°, γ = 90.00°
With the nearest neighbours (Å) after each atom.
Element x y z (fractional)
Ni  0.0000  0.5000  0.1201  5 Ge 2.40
Ni  0.0000  0.0000  0.5000  4 Ge 2.49
Ni  0.5000  0.0000  0.8799  5 Ge 2.40
Ge  0.0000  0.5000  0.3633  3 Ni 2.40-2.49, 2 Mn 2.49
Ge  0.5000  0.5000  0.0000  4 Ni 2.40
Ge  0.0000  0.0000  0.0000  4 Ni 2.40
Ge  0.5000  0.0000  0.6367  3 Ni 2.40-2.49, 2 Mn 2.49
Th  0.0000  0.5000  0.7534  8 Ge 3.18-3.21, 6 Ni 3.21-3.26, 2 Mn 3.26
## To do
Your job: print the data further above character by character.
## Solution
Record 1
First-principles (PBE) data for a geometry-optimized CsMgPb structure, as listed in Alexandria via LeMat-Bulk.

a = 4.1704 Å, b = 4.1704 Å, c = 7.6941 Å
α = 105.72°, β = 105.72°, γ = 90.00°
With the nearest neighbours (Å) after each atom.
Element x y z (fractional)
Cs  0.0050  0.0050  0.0099  1 Mg 3.86, 5 Pb 4.07-4.23, 4 Cs 4.17
Mg  0.2762  0.2762  0.5524  4 Pb 3.06
Pb  0.7188  0.7188  0.4377  4 Mg 3.06

Calculated values
- excess energy over the best structure of this formula in the dataset (kJ/mol of atoms) = 14.2
- formation energy from the elements (kJ/mol of formula units) = 4
- crystal system = tetragonal

***

Record 2
First-principles (PBE) data for a geometry-optimized Pr4Y4Ho5 structure, as listed in Alexandria via LeMat-Bulk.

a = 5.0751 Å, b = 9.5322 Å, c = 9.5322 Å
α = 85.94°, β = 74.56°, γ = 74.56°
With the nearest neighbours (Å) after each atom.
Element x y z (fractional)
Y  0.8474  0.9242  0.3809  4 Pr 3.57-3.61, 6 Ho 3.57-3.66, 2 Y 3.63
Y  0.1526  0.0758  0.6191  4 Pr 3.57-3.61, 6 Ho 3.57-3.66, 2 Y 3.63
Y  0.7716  0.3809  0.0758  4 Pr 3.57-3.61, 6 Ho 3.57-3.66, 2 Y 3.63
Y  0.2284  0.6191  0.9242  4 Pr 3.57-3.61, 6 Ho 3.57-3.66, 2 Y 3.63
Ho  0.0000  0.0000  0.0000  8 Ho 3.56, 4 Y 3.57
Ho  0.3115  0.1497  0.2273  4 Ho 3.54-3.56, 5 Y 3.57-3.66, 3 Pr 3.61-3.65
Ho  0.5388  0.7727  0.1497  4 Ho 3.54-3.56, 5 Y 3.57-3.66, 3 Pr 3.61-3.65
Ho  0.4612  0.2273  0.8503  4 Ho 3.54-3.56, 5 Y 3.57-3.66, 3 Pr 3.61-3.65
Ho  0.6885  0.8503  0.7727  4 Ho 3.54-3.56, 5 Y 3.57-3.66, 3 Pr 3.61-3.65
Pr  0.9215  0.4609  0.6961  4 Y 3.57-3.61, 3 Ho 3.61-3.65, 5 Pr 3.63-3.67
Pr  0.3824  0.6961  0.5391  4 Y 3.57-3.61, 3 Ho 3.61-3.65, 5 Pr 3.63-3.67
Pr  0.6176  0.3039  0.4609  4 Y 3.57-3.61, 3 Ho 3.61-3.65, 5 Pr 3.63-3.67
Pr  0.0785  0.5391  0.3039  4 Y 3.57-3.61, 3 Ho 3.61-3.65, 5 Pr 3.63-3.67

Calculated values
- formation energy from the elements (kJ/mol of formula units) = 28
- crystal system = tetragonal

***

Record 3
First-principles (PBE) data for a geometry-optimized NiIrSe2 structure, as listed in Alexandria via LeMat-Bulk.

a = 3.0084 Å, b = 3.0084 Å, c = 8.2796 Å
α = 90.00°, β = 90.00°, γ = 121.27°
With the nearest neighbours (Å) after each atom.
Element x y z (fractional)
Se  0.0000  0.0000  0.9872  2 Ni 2.46, 2 Ir 2.63
Se  0.0000  0.0000  0.5128  2 Ni 2.46, 2 Ir 2.63
Ni  0.5000  0.5000  0.7500  4 Se 2.46
Ir  0.5000  0.5000  0.2500  4 Se 2.63

Calculated values
- ΔE_f (raw) (eV per atom) = 0.519
- crystal system = orthorhombic

***

Record 4
First-principles (PBE) data for a geometry-optimized Cs8BiS2 structure, as listed in Alexandria via LeMat-Bulk.

a = 6.9450 Å, b = 9.6867 Å, c = 9.6867 Å
α = 110.84°, β = 96.59°, γ = 96.59°
With the nearest neighbours (Å) after each atom.
Element x y z (fractional)
Cs  0.9302  0.9518  0.6796  2 S 3.50-3.68
Cs  0.0698  0.3204  0.0482  2 S 3.50-3.68
Cs  0.9302  0.6796  0.9518  2 S 3.50-3.68
Cs  0.5000  0.2486  0.7514  2 S 3.64, 1 Bi 3.96
Cs  0.2730  0.6250  0.6250  2 S 3.60
Cs  0.5000  0.7514  0.2486  2 S 3.64, 1 Bi 3.96
Cs  0.0698  0.0482  0.3204  2 S 3.50-3.68
Cs  0.7270  0.3750  0.3750  2 S 3.60
S  0.0000  0.3169  0.6831  8 Cs 3.50-3.68
S  0.0000  0.6831  0.3169  8 Cs 3.50-3.68
Bi  0.5000  0.0000  0.0000  4 Cs 3.96-4.11

Calculated values
- ΔE_f (raw) (eV per atom) = -0.604
- crystal system = monoclinic

***

Record 5
First-principles (PBE) data for a geometry-optimized Th2MnNi3Ge4 structure, as listed in Alexandria via LeMat-Bulk.

a = 4.1858 Å, b = 4.1858 Å, c = 9.8603 Å
α = 90.00°, β = 90.00°, γ = 90.00°
With the nearest neighbours (Å) after each atom.
Element x y z (fractional)
Ni  0.0000  0.5000  0.1201  5 Ge 2.40
Ni  0.0000  0.0000  0.5000  4 Ge 2.49
Ni  0.5000  0.0000  0.8799  5 Ge 2.40
Ge  0.0000  0.5000  0.3633  3 Ni 2.40-2.49, 2 Mn 2.49
Ge  0.5000  0.5000  0.0000  4 Ni 2.40
Ge  0.0000  0.0000  0.0000  4 Ni 2.40
Ge  0.5000  0.0000  0.6367  3 Ni 2.40-2.49, 2 Mn 2.49
Th  0.0000  0.5000  0.7534  8 Ge 3.18-3.21, 6 Ni 3.21-3.26, 2 Mn 3.26